• Given:
~~~
116
Properties=species:S:1:pos:R:3 method="wB97M-V/def2-TZVPD" charge=-2 de_lowest_ev=0.000 lumo_energy_ev=3.99
Sn -4.42 -17.47 17.42
C -10.24 -15.13 21.51
N -9.45 -16.03 20.72
C -9.15 -15.88 19.34
C -8.36 -16.91 19.00
N -8.15 -17.65 20.14
C -8.84 -17.12 21.21
S -8.97 -17.67 22.80
C -7.50 -18.90 20.09
C -6.51 -19.28 20.97
C -5.77 -20.44 20.73
C -6.05 -21.15 19.58
C -7.07 -20.72 18.78
N -7.84 -19.60 19.01
H -10.26 -14.16 21.00
H -9.76 -14.99 22.52
H -11.23 -15.53 21.59
H -9.49 -15.01 18.81
H -7.90 -17.22 18.06
H -6.28 -18.72 21.85
H -5.01 -20.80 21.43
H -5.52 -22.01 19.26
H -7.25 -21.20 17.83
C -4.20 -17.84 11.09
O -5.48 -18.48 11.03
C -6.31 -18.20 12.10
C -7.47 -18.97 12.21
C -8.29 -18.84 13.28
C -8.07 -17.93 14.30
C -9.02 -17.90 15.39
C -9.74 -19.25 15.81
O -9.32 -16.89 16.04
C -6.90 -17.04 14.22
O -6.63 -16.15 15.06
C -6.05 -17.24 13.07
H -3.58 -18.28 10.29
H -3.73 -18.05 12.08
H -4.22 -16.76 10.94
H -7.69 -19.78 11.53
H -9.14 -19.52 13.47
H -9.13 -20.10 15.55
H -10.70 -19.28 15.28
H -9.90 -19.27 16.89
H -5.17 -16.66 13.04
Se -3.70 -19.44 16.23
C -7.43 -12.10 18.38
C -8.48 -11.53 17.44
C -8.94 -10.26 17.78
C -9.83 -9.55 16.99
C -10.34 -10.16 15.85
C -9.89 -11.42 15.48
C -8.92 -12.11 16.22
Sb -8.00 -14.12 15.82
C -6.21 -13.14 15.13
C -5.10 -13.55 15.91
C -3.87 -12.93 15.85
C -3.69 -11.93 14.91
C -4.78 -11.43 14.22
C -6.07 -11.98 14.36
C -7.20 -11.21 13.69
C -8.99 -14.45 13.92
C -8.26 -14.52 12.73
C -8.81 -14.88 11.51
C -10.17 -15.14 11.44
C -10.94 -14.96 12.57
C -10.36 -14.64 13.80
C -11.24 -14.64 15.01
H -7.43 -11.53 19.34
H -6.44 -12.05 17.93
H -7.59 -13.14 18.64
H -8.55 -9.78 18.65
H -10.06 -8.52 17.28
H -10.92 -9.62 15.11
H -10.28 -11.96 14.66
H -5.18 -14.47 16.50
H -3.05 -13.25 16.50
H -2.76 -11.40 14.73
H -4.58 -10.70 13.42
H -7.52 -10.41 14.34
H -8.08 -11.76 13.41
H -6.79 -10.71 12.79
H -7.19 -14.35 12.77
H -8.14 -14.94 10.65
H -10.63 -15.40 10.50
H -12.05 -15.10 12.47
H -12.32 -14.52 14.78
H -11.07 -13.77 15.69
H -11.12 -15.54 15.61
C -0.84 -14.36 15.40
Si -1.56 -16.11 15.90
C -0.16 -17.41 15.88
C -2.63 -16.46 14.37
C -2.48 -16.04 17.51
Si -1.33 -16.19 18.92
C 0.20 -15.01 18.68
C -0.58 -17.92 19.31
C -2.21 -15.63 20.48
H -1.56 -13.63 15.07
H -0.11 -14.47 14.60
H -0.29 -13.83 16.15
H 0.13 -17.55 14.83
H -0.58 -18.35 16.20
H 0.70 -17.18 16.55
H -1.95 -16.57 13.54
H -3.33 -15.71 14.08
H -3.20 -17.38 14.51
~~~

• Activity:
It remains to search the material further up for the word "charge" and repeat each line that has it.

• Completed:
Properties=species:S:1:pos:R:3 method="wB97M-V/def2-TZVPD" charge=-2 de_lowest_ev=0.000 lumo_energy_ev=3.99